腦瞳憫is preparing comments on a U.S. Fish and Wildlife Service proposed update to the Migratory Bird Treaty Act (MBTA) that would clarify when damage to protected birds would result in criminal charges. The Feb. 3 proposal would codify the Trump administrations Solicitors Opinion M-37050 that determined incidental take resulting from otherwise lawful action does not violate the Act---and instead would prohibit actions specifically directed at migratory birds, their nests, or their eggs. Currently, construction contractors actively avoid and minimize impacts on migratory birds and implement protective measures outlined by the Service. However, that does not eliminate the risk of severe penalties. For further information on this proposal, click learn more
Homebuilding Strengthens but Infrastructure and Other Nonresidential Spending Fades in Recent Months, Reversing Pattern in Early 2019; Industry Survey Shows Strong 2020 Demand for Projects and Workers
On Jan. 29, the House Committee on Ways and Means, which has jurisdiction over federal financing tools and revenue raising measures, held a hearing on infrastructure financing options. The hearing ran in conjunction with the House Democrats releasing their framework for a broad infrastructure bill. The committee heard from a broad swath of witnesses who reiterated the need for a long-term federally supported surface transportation bill and stated that demand for bond financing in the private sector and amongst investors far outstripped the supply of available bonds. 腦瞳憫expects the committee, in the coming months, to produce legislation or guidance on how to build on existing and/or expired infrastructure financing tools, such as Private Activity Bonds (PABs) and Build America Bonds, as well as explore revenue options for the highway and transit trust funds. 腦瞳憫will continue to work with the committee on funding options.
腦瞳憫recently submitted comments to a proposed rulemaking that would establish new transparency requirements on group health plans and health insurers in the individual and group markets. 腦瞳憫is in favor of increasing transparency for employers and their employees to empower them as health care consumers; however, as markets differ, the approach to transparency for different types of employer-sponsored plans must also differ.
• Molecular data, kept here for reference:
C4H4F2 | ωB97M-V with the def2-TZVPD basis set

Summary:
Relative energy (zero: lowest compared OMol25 entry of this formula, charge and spin)   87.3 kcal/mol
HOMO level   -8.8 eV

```
10
Properties=species:S:1:pos:R:3:lowdin_charge:R:1
C 1.28482 -1.91953 1.47257 -0.18
C 0.56400 -1.16070 2.22818 -0.19
C 1.03385 -0.52192 1.00313 -0.01
C -0.14359 -0.14036 -0.61572 0.02
F 1.86160 -3.06989 1.24171 0.13
F -0.32998 -0.99387 3.19108 0.11
H 1.87297 0.14357 0.99097 0.08
H 0.57746 0.31000 -1.28189 0.01
H -0.90626 0.56528 -0.28701 0.02
H -0.49814 -1.06591 -1.00281 0.01
```

C17H15CdF4N2O2S | ωB97M-V with the def2-TZVPD basis set

Summary:
Relative energy (zero: lowest compared OMol25 entry of this formula, charge and spin)   18.7 kcal/mol
Net charge   -1
HOMO level   -4.5 eV

```
42
Properties=species:S:1:pos:R:3:lowdin_charge:R:1
Cd -0.29489 0.36734 0.20703 1.29
C -0.58805 -2.65099 -1.07786 -0.12
N 0.54636 -1.75402 -0.87357 -0.34
C 1.16146 -1.38104 -2.14279 -0.12
C 1.52527 -2.30788 0.08023 -0.21
C 1.36682 -1.70076 1.46965 -0.24
N 1.46991 -0.25581 1.34431 -0.10
C 2.42274 0.48487 1.93598 -0.20
C 2.60968 1.82621 1.50986 -0.17
F 1.82924 2.27944 0.50695 0.02
C 3.54905 2.67367 2.03235 -0.24
F 3.63528 3.91938 1.52531 0.07
C 4.41243 2.29196 3.04541 0.03
C 4.25441 1.00021 3.49331 -0.24
F 5.04106 0.54828 4.49468 0.06
C 3.31014 0.13252 2.98553 -0.15
F 3.23539 -1.08533 3.58283 0.05
H -0.27746 -3.59082 -1.55756 0.08
H -1.33862 -2.16141 -1.69804 0.08
H -1.05619 -2.87341 -0.11928 0.08
H 1.59817 -2.24762 -2.66003 0.08
H 1.94743 -0.64757 -1.96618 0.08
H 0.41129 -0.93178 -2.79459 0.08
H 2.52956 -2.07658 -0.27628 0.11
H 1.43110 -3.40119 0.12214 0.11
H 2.09774 -2.15340 2.12826 0.10
H 0.37132 -1.96233 1.85664 0.11
H 5.15504 2.96107 3.45633 0.12
O -1.61951 0.47759 2.23454 -0.09
C -2.46058 0.40021 1.29635 -0.77
O -2.50031 -0.54434 0.45251 -0.12
C -3.29527 1.61705 1.01167 -0.19
C -4.40071 1.95243 1.77996 -0.05
C -5.13163 3.10086 1.51345 -0.12
C -4.72374 3.93220 0.47868 -0.12
C -3.60029 3.61769 -0.27326 -0.15
C -2.85810 2.45552 -0.03377 -0.64
S -1.42812 2.16539 -1.05242 0.43
H -4.68918 1.29781 2.59470 0.11
H -5.99978 3.34873 2.11118 0.09
H -5.27680 4.83908 0.26096 0.09
H -3.27353 4.28207 -1.06552 0.08
```

H18O33S6Zn4 | ωB97M-V with the def2-TZVPD basis set

Summary:
Net charge   -4
HOMO level   3.2 eV

```
61
Properties=species:S:1:pos:R:3:lowdin_charge:R:1
Zn 3.14321 -0.02285 -0.41399 0.69
Zn -1.02969 -0.61338 -2.71609 0.82
Zn 0.23700 3.22195 0.56782 0.68
Zn -2.71815 -1.78744 1.14413 0.86
S 1.85384 2.51874 -2.15471 0.19
O 2.49452 1.39476 -1.54498 -0.33
O 0.77499 2.85050 -1.27703 -0.39
O 2.76876 3.63681 -2.23552 -0.36
O 1.53530 2.17770 -3.53793 -0.35
S 1.84119 -2.21082 -2.43978 0.22
O 1.46178 -3.36577 -1.66279 -0.30
O 2.88662 -1.46648 -1.71317 -0.38
O 2.38959 -2.63840 -3.68668 -0.38
O 0.79010 -1.22027 -2.68139 -0.38
S 3.46246 2.56573 1.21925 0.21
O 3.52681 1.10647 1.06323 -0.40
O 4.21070 2.99110 0.06519 -0.35
O 2.08849 3.02018 1.26563 -0.35
O 4.20050 2.98703 2.38598 -0.38
Save the Date for July 14-16, 2020, in Louisville, KY
=====
Entry 1:
{
  "formula": "CH2ClO2S2",
  "method": "the ωB97M-V functional and the def2-TZVPD basis",
  "species": ["C", "O", "O", "S", "S", "Cl", "H", "H"],
  "positions_angstrom": [[-0.20378, -0.43413, -2.65476], [0.75966, -0.93822, 2.68631], [1.20047, 1.41703, 2.13636], [-1.56285, 0.57518, 2.43448], [0.28314, 0.24704, 2.00947], [-0.27150, -0.76334, -0.85064], [-1.09300, 0.15228, -2.80261], [0.88785, -0.25584, -2.95860]],
  "charge": -1,
  "energy_ha": -1446.29698,
  "lumo_energy_ev": [2.2, 3.3],
  "de_lowest_kj_mol": 261.55,
  "orbital_gap_ev": [5.5, 7.4],
  "homo_energy_ev": [-3.316, -4.151],
  "multiplicity": 1
}

---

Entry 2:
{
  "formula": "C4H2Br3Cl",
  "method": "the ωB97M-V functional and the def2-TZVPD basis",
  "species": ["Cl", "C", "C", "Br", "C", "Br", "C", "Br", "H", "H"],
  "positions_angstrom": [[-2.27220, -1.87352, -1.83572], [-1.10589, -1.56638, -0.51691], [-0.00932, -2.23071, -0.02512], [0.41097, -4.05511, 0.20591], [0.35335, -1.11568, 0.94159], [2.21345, -0.71454, 0.13241], [-1.07253, -0.51653, 0.60738], [-2.25425, -0.80613, 1.84775], [0.54839, -1.32484, 1.98630], [-1.24575, 0.47997, 0.01040]],
  "smiles": "ClC1=C(Br)[C@@H](Br)[C@@H]1Br",
  "energy_ha": -8335.74428,
  "lumo_energy_ev": -0.2,
  "de_lowest_kj_mol": 129.16,
  "orbital_gap_ev": 9.1,
  "homo_energy_ev": -9.307,
  "multiplicity": 1
}

---

Entry 3:
{
  "formula": "C8H8O",
  "method": "the ωB97M-V functional and the def2-TZVPD basis",
  "species": ["C", "C", "C", "C", "C", "C", "C", "C", "O", "H", "H", "H", "H", "H", "H", "H", "H"],
  "positions_angstrom": [[1.02630, -0.85512, -2.48454], [1.28696, -3.03786, 1.30349], [0.68673, -0.90868, -1.31290], [0.82471, -2.07524, 0.73201], [-0.47444, 1.37491, 0.03252], [-0.06988, 0.26598, 0.72888], [-0.71172, 2.73699, 0.65819], [0.34529, -0.91288, 0.07555], [-1.66560, -1.82151, -0.35587], [1.54100, -0.87340, -3.40409], [1.90078, -3.83812, 1.58333], [-0.64212, 1.47887, -1.06915], [0.02345, 0.19976, 1.85486], [-1.32050, 3.52117, 0.08575], [-1.08972, 2.54389, 1.59882], [0.16791, 3.24261, 0.96680], [-1.82916, -1.04136, -0.99363]],
  "energy_ha": -384.58804,
  "lumo_energy_ev": [-1.3, -1.0],
  "de_lowest_kj_mol": 670.55,
  "orbital_gap_ev": [8.4, 7.1],
  "homo_energy_ev": [-9.753, -8.120],
  "multiplicity": 1
}

~~~~~

[1]
DFT (the ωB97M-V functional and the def2-TZVPD basis) results for a cluster of 2 separate species, C21H19BrN3O6 in total.

XYZ file:
```
50
Properties=species:S:1:pos:R:3:forces:R:3
C 4.4729 2.8973 -1.5363 0.275 -0.058 -0.225
C 3.2736 3.2761 -0.7163 0.124 -0.254 -0.017
O 2.1210 2.5303 -1.2404 -0.212 1.022 1.073
C 1.0130 2.8924 -0.5534 0.216 -0.105 0.014
O 1.0006 3.7086 0.3516 -0.237 -0.974 -1.068
N -0.1174 2.2160 -1.0396 -0.112 0.339 0.280
C -1.4346 2.5880 -0.6782 0.168 -0.312 0.239
C -1.8632 3.3793 0.3796 -0.379 0.229 0.383
C -3.2379 3.4351 0.6434 0.242 -0.368 -0.731
C -4.1419 2.7230 -0.1736 0.234 -0.163 -0.190
C -3.6865 1.9518 -1.2476 -0.202 0.376 0.410
Br -4.8703 0.9088 -2.3007 -0.130 0.233 0.395
=====
Texas and Maine Have Biggest Number and Percent of Annual Job Gains, Ohio and Wyoming Have Largest Annual Losses; Texas and Iowa Have Largest Monthly Gains While Nevada and West Virginia Have Largest Monthly Declines
腦瞳憫of America and 腦瞳憫of San Antonio successfully delivered the brand new second edition of AGCs Project Manager Development Program courses January 20th through the 24th to a sold-out class held at the 腦瞳憫of San Antonio. Delivery of this course highlights the 腦瞳憫of San Antonios commitment to educating and engaging their members. The updated curriculum directly addresses the core business of General Contractors, Specialty Contractors, and all trade partners. The class consisted of a mix of all three contractor types and everyone benefitted from instruction from 腦瞳憫chapter instructors from 腦瞳憫of Wisconsin, 腦瞳憫of Houston and The Arizona Builders Alliance.
Major General Scott A. Spellmon has been nominated to be the next Chief of Engineers and Commanding General of the U.S. Army Corps of Engineers (USACE). If confirmed by the Senate, Maj. Gen. Spellmon will replace the current commander, Lt. Gen. Todd Semonite, whose term expires on May 19, 2020. In his current role as Deputy Commanding General for Civil and Emergency Operations, he has been pivotal in overseeing the implementation of billions of dollars in natural disaster related construction recovery efforts. Confirmation hearings on this nomination are expected in the coming month. If confirmed, 腦瞳憫looks forward to continuing to work closely with Maj. Gen. Spellmon and USACE.
On Jan. 16, Reps. Ro Khanna (D-Calif.) and Mark Meadows (R-N.C.) introduced bipartisan, AGC-backed legislation to prohibit federal agencies from using reverse auctions on federal construction contracts. On Dec. 19, the Senate unanimously passed a companion bill to this measure. Reverse auctions in federal contracts typically require contractors to bid against each other in real time with ever increasing lower prices in order to win a particular contract. Several federal agencies have advised against this practice due to the administrative burden it requires, as well as acknowledging that the guaranteed low price at time of bidding often does not mean the project will be lower in cost at the close. 腦瞳憫supports commonsense procurement reform to improve the delivery of federal construction projects.
Here is a structure of composition C33H40F4N6ORbS3Si2 from the OMol25 dataset. Energies are from ωB97M-V with the def2-TZVPD basis set.

```
90
Properties=species:S:1:pos:R:3:forces:R:3:mulliken_charge:R:1
Rb -0.501021 -0.534648 -0.622478 -0.3 0.1 -0.1 0.49
S -3.959394 2.092976 -1.011540 0.0 0.0 0.0 -0.09
S -0.631180 2.757901 -0.604459 0.0 0.0 -0.1 -0.07
S -2.716172 5.428339 0.517492 0.0 0.0 0.0 -0.18
Si -1.967955 0.319273 3.545447 0.0 0.1 0.0 -0.19
Si 0.435361 -1.979922 3.049991 0.1 0.0 0.0 0.00
F 1.303681 1.069599 -2.781374 0.0 0.1 0.0 0.06
F 3.047679 -1.147879 -6.580361 0.0 0.0 0.0 -0.39
F 3.700165 1.467432 -1.907105 0.0 0.0 0.0 -0.45
F 5.462700 -0.736980 -5.712545 0.0 0.0 0.0 -0.37
O 2.060150 -1.064001 -0.577284 0.2 -0.2 0.1 -0.03
N -1.189616 -0.571189 -3.375473 -0.1 0.0 0.1 -0.84
N -2.287751 -2.349262 0.943153 0.0 0.0 0.0 0.81
N 8.180054 -0.655042 -4.185900 0.0 0.0 0.0 -0.75
N 4.249760 -1.376705 -1.012793 0.0 0.1 0.1 -0.24
N -0.059733 -1.126273 -7.498035 0.0 0.0 0.0 -0.73
N 6.443100 1.056844 -0.669772 0.0 -0.2 0.0 -0.81
C 6.069261 0.350247 -3.112895 0.0 -0.2 0.0 0.08
C -2.304003 -2.191620 2.274020 -0.1 -0.1 0.0 -0.34
C -3.424329 3.875832 1.165129 0.0 0.0 0.0 0.24
C -4.147878 -3.850059 1.092977 0.0 0.0 0.1 -0.75
C 6.272953 0.737878 -1.772572 0.0 0.3 -0.1 0.18
C -3.193773 -3.147978 0.379310 0.0 0.0 0.0 -0.61
C 2.604577 -2.576517 -2.365203 0.0 0.0 0.0 0.32
C 2.025033 -0.095637 -4.725260 0.2 0.1 0.0 0.13
C -0.343436 -0.497435 -4.174426 -0.1 -0.1 -0.1 0.14
C -3.599249 0.679396 2.697761 0.0 0.0 0.0 -0.66
C 3.594279 0.800907 -3.075952 0.1 0.0 0.0 0.04
C 0.668138 -0.441009 -5.130643 -0.2 0.0 0.1 0.17
C 2.947111 -1.587039 -1.251729 0.2 0.0 0.0 -0.17
C 0.713745 -3.365464 1.827257 0.0 0.0 0.0 -0.66
C 3.174164 -0.484400 -5.417906 -0.1 0.0 0.0 0.07
C 2.151012 -3.870954 -1.789321 0.0 0.0 0.0 -1.34
C 2.316965 0.599676 -3.552991 0.0 -0.1 0.0 1.04
C -3.241017 -2.863681 3.069093 0.1 0.1 0.1 -0.29
C -1.299223 -1.284368 2.858353 0.0 0.0 0.0 0.50
C -2.963739 3.085413 -2.163495 0.0 0.0 0.0 -0.89
C -2.252423 0.131296 5.394388 0.0 0.0 0.0 -1.17
C 7.212383 -0.206071 -3.737056 0.0 0.1 0.0 0.05
C -0.784723 1.741150 3.259092 0.0 0.0 0.0 -0.93
C 1.758522 -0.679964 2.844758 0.0 0.0 0.0 -0.83
C 0.497177 -2.689090 4.791931 0.0 0.0 0.0 -1.20
C -4.491112 3.287302 0.243115 0.0 0.0 0.0 -0.97
C -0.227574 4.515840 -0.446294 0.0 0.0 0.0 -1.04
C 4.744664 0.317701 -3.711229 -0.1 0.0 0.0 0.65
C 0.295131 -0.811767 -6.442708 0.0 0.0 0.1 -0.05
C -1.502389 2.659831 -2.184574 0.0 0.0 0.0 -0.21
C -0.931824 5.196409 0.720678 0.0 0.0 0.0 -0.45
C -4.161662 -3.702617 2.473281 0.0 0.0 -0.1 -0.56
C 4.456072 -0.277116 -4.948904 0.0 0.0 0.1 0.04
H 1.100228 -4.083919 -1.659693 0.0 0.0 0.0 0.41
H -1.276784 2.680130 3.530024 0.0 0.0 0.0 0.39
H 1.462481 -3.167422 4.975654 0.0 0.0 0.0 0.37
H -0.098064 -4.095480 1.836866 0.0 0.0 0.0 0.38
H -0.483932 5.005705 -1.385706 0.0 0.0 0.0 0.35
H 1.639200 -3.886458 2.087890 0.0 0.0 0.0 0.44
H -2.664263 1.052842 5.814034 0.0 0.0 0.0 0.39
On Jan. 23, the U.S. Environmental Protection Agency and the U.S. Army Corps of Engineers finalized an AGC-supported rule to define waters of the United States providing clarity when a federal permit is needed for work in or near federal waters. The new Navigable Waters Protection Rule better identifies federal waters, respects states primary role in land use and pollution prevention, and balances major case law from the last couple of decades.